What to do >
The reader should duplicate only the last part of the data below, starting with the line that has "2.066 -0.75".
Contents >
'''
DFT (ωB97M-V with the def2-TZVPD basis set) results for 2 unconnected molecules or ions with the total composition C3H5PS.

Each line ends with the Mulliken charge.
Element x y z (Å)
1 C 0.91 -0.05 -0.54  -0.145
2 C -0.35 0.01 -0.05  -0.390
3 C -2.58 -0.67 -0.02  -0.119
4 P 2.23 1.09 0.03  -0.083
5 S -3.62 0.48 0.09  -0.134
6 H 1.19 -0.72 -1.35  0.293
7 H -0.58 0.71 0.73  0.192
8 H -2.66 -1.74 -0.02  0.314
9 H 3.26 0.18 -0.24  0.031
10 H 2.19 0.72 1.37  0.042

Lowest unoccupied orbital energy (spin up / spin down): -0.6 / -0.6 eV
Maximum force: 3.06 eV/A
Highest occupied orbital energy (spin up / spin down): -8.25 / -8.25 eV
Calculated total energy: -23310.54887 eV

=====

# 1
Density functional theory data (ωB97M-V/def2-TZVPD) for one molecule with the formula C4H2O3S.

The value obtained for the relative energy (zero: lowest compared OMol25 entry of this formula, charge and spin) is 0.000 eV. The structure (SMILES) is O=C(O)C#CC(O)=S. As for the spin multiplicity: 1. Its total energy is -777.4562 hartree. As for the HOMO-LUMO gap: 8.21 eV. Its net charge is 0.

XYZ file:
```
10
Properties=species:S:1:pos:R:3:nbo_charge:R:1
O 2.647 -1.703 -0.030 -0.51
C 2.164 -0.590 0.004 0.73
O 2.982 0.447 0.068 -0.65
C 0.688 -0.327 -0.137 -0.05
C -0.495 -0.128 -0.062 -0.05
C -1.940 -0.035 -0.001 0.18
O -2.375 1.193 -0.009 -0.62
S -2.944 -1.371 0.046 -0.05
H 2.571 1.315 0.299 0.50
H -3.298 1.199 -0.178 0.51
```

# 2
Density functional theory data (ωB97M-V/def2-TZVPD) for C7H14N2 as an isolated structure.

The value obtained for the relative energy (zero: lowest compared OMol25 entry of this formula, charge and spin) is 5.244 eV. As for the spin multiplicity: 1. Its total energy is -384.4392 hartree. As for the HOMO-LUMO gap (alpha / beta): 8.84 / 8.84 eV. Its net charge is 0.

XYZ file:
```
23
Properties=species:S:1:pos:R:3:nbo_charge:R:1
C 0.173 2.780 0.963 -0.23
C -0.009 1.560 0.833 -0.04
C -0.384 -2.025 0.089 -0.58
C 1.221 -0.833 1.556 -0.60
C 1.435 -0.625 -1.023 -0.61
C -0.463 0.404 0.181 -0.17
C 0.506 -0.756 0.138 -0.07
N -2.330 1.389 -1.348 -0.64
N -1.027 1.029 -1.513 -0.42
H 0.558 3.712 1.103 0.22
H 0.177 -2.769 -0.324 0.21
H -0.743 -2.300 1.073 0.20
H -1.247 -1.811 -0.480 0.20
H 1.873 0.008 1.676 0.22
H 1.871 -1.796 1.543 0.20
H 0.536 -1.051 2.348 0.21
H 2.448 -0.094 -0.779 0.20
H 1.781 -1.523 -1.437 0.21
H 0.882 -0.067 -1.704 0.24
H -1.472 0.105 0.396 0.21
H -2.947 0.584 -1.069 0.35
H -2.402 2.180 -0.678 0.33
H -0.436 1.898 -1.542 0.35
```

# 3
Density functional theory data (ωB97M-V/def2-TZVPD) for a 2-piece molecular cluster, C6H16N3 overall.

The value obtained for the relative energy (zero: lowest compared OMol25 entry of this formula, charge and spin) is 3.845 eV. As for the spin multiplicity: 1. Its total energy is -402.0745 hartree. As for the HOMO-LUMO gap (alpha / beta): 4.36 / 8.77 eV. Its net charge is +1.

XYZ file:
```
25
Properties=species:S:1:pos:R:3:nbo_charge:R:1
C -2.742 0.889 0.791 -0.12
C -0.036 -0.638 -0.056 0.02
C -0.968 -1.404 -0.752 -0.02
C 3.206 -0.107 0.214 -0.64
C 1.057 0.709 -1.946 -0.45
C 1.898 0.625 0.326 -0.23
N -2.942 1.502 2.066 -0.75
N 0.901 0.225 -0.567 -0.33
N -1.774 -2.351 -0.150 -0.73
H -2.211 -0.107 0.898 0.18
H 0.074 -0.867 1.048 0.22
H -1.429 -1.099 -1.666 0.21
H 3.163 -0.818 -0.549 0.22
H 4.024 0.529 0.021 0.23
H 3.553 -0.626 1.074 0.23
H 2.117 0.571 -2.247 0.23
H 0.539 0.109 -2.738 0.24
H 0.967 1.910 -1.900 0.24
H 1.653 0.580 1.403 0.23
H 2.009 1.778 0.165 0.21
H -3.688 2.083 2.274 0.41
H -2.520 0.867 2.764 0.40
H -2.377 -2.641 -0.944 0.41
H -2.951 1.357 -0.024 0.17
H -1.522 -3.074 0.495 0.42
```

# 4
Density functional theory data (ωB97M-V/def2-TZVPD) for C24H32CsN6O4S4 as an isolated structure.

The value obtained for the relative energy (zero: lowest compared OMol25 entry of this formula, charge and spin) is 0.232 eV. As for the spin multiplicity: 1. Its total energy is -3176.2061 hartree. As for the HOMO-LUMO gap: 5.86 eV. Its net charge is -1.

XYZ file:
```
71
'''
Completed >
N -2.942 1.502 2.066 -0.75
N 0.901 0.225 -0.567 -0.33
N -1.774 -2.351 -0.150 -0.73
H -2.211 -0.107 0.898 0.18
H 0.074 -0.867 1.048 0.22
H -1.429 -1.099 -1.666 0.21
H 3.163 -0.818 -0.549 0.22
H 4.024 0.529 0.021 0.23
H 3.553 -0.626 1.074 0.23
H 2.117 0.571 -2.247 0.23
H 0.539 0.109 -2.738 0.24
H 0.967 1.910 -1.900 0.24
H 1.653 0.580 1.403 0.23
H 2.009 1.778 0.165 0.21
H -3.688 2.083 2.274 0.41
H -2.520 0.867 2.764 0.40
H -2.377 -2.641 -0.944 0.41
H -2.951 1.357 -0.024 0.17
H -1.522 -3.074 0.495 0.42
```

# 4
Density functional theory data (ωB97M-V/def2-TZVPD) for C24H32CsN6O4S4 as an isolated structure.

The value obtained for the relative energy (zero: lowest compared OMol25 entry of this formula, charge and spin) is 0.232 eV. As for the spin multiplicity: 1. Its total energy is -3176.2061 hartree. As for the HOMO-LUMO gap: 5.86 eV. Its net charge is -1.

XYZ file:
```
71